Wanted:
Set down all of the notes underneath character by character.
Data:
____________
The following is a quantum chemistry calculation of a 4-piece molecular cluster, C10H24BFO10P overall at a distorted geometry, from OMol25.

```
47
Properties=species:S:1:pos:R:3:nbo_charge:R:1
C -3.562 -3.128 2.219 -1.03
B -3.354 -2.342 0.904 0.78
O -3.582 -2.772 -0.352 -0.85
P -2.682 -0.465 1.108 1.17
F -3.930 0.422 1.155 -0.49
H -2.643 -3.703 2.388 0.29
H -3.670 -2.444 3.066 0.24
H -4.433 -3.780 2.204 0.29
H -2.767 -2.772 -0.880 0.53
H -1.826 -0.060 0.071 0.04
H -2.003 -0.407 2.332 0.03
C 2.260 2.113 -2.428 -0.26
O 0.856 1.874 -2.250 -0.51
C 0.107 2.975 -2.165 0.98
O 0.498 4.106 -2.229 -0.62
O -1.164 2.592 -2.007 -0.52
C -2.104 3.671 -1.913 -0.26
H 2.737 1.139 -2.482 0.20
H 2.440 2.651 -3.356 0.21
H 2.669 2.664 -1.586 0.19
H -2.104 4.259 -2.828 0.21
H -1.881 4.303 -1.056 0.19
H -3.084 3.221 -1.780 0.19
C 0.871 3.575 0.617 -0.26
O 0.740 3.799 2.024 -0.49
C 1.235 2.820 2.780 0.98
O 1.736 1.801 2.372 -0.66
O 1.071 3.155 4.055 -0.49
C 1.564 2.192 4.992 -0.26
H 0.431 4.430 0.122 0.22
H 1.919 3.508 0.338 0.20
H 0.337 2.671 0.326 0.17
H 2.636 2.052 4.871 0.20
H 1.044 1.243 4.879 0.18
H 1.367 2.592 5.982 0.21
C 1.292 -6.159 -2.619 -0.26
O 0.856 -5.148 -1.699 -0.50
C 1.523 -4.002 -1.791 0.97
O 2.417 -3.754 -2.550 -0.62
O 1.017 -3.154 -0.881 -0.52
C 1.643 -1.869 -0.872 -0.26
H 0.673 -7.032 -2.439 0.20
H 1.155 -5.826 -3.646 0.20
H 2.334 -6.415 -2.439 0.20
H 1.512 -1.369 -1.831 0.20
H 2.701 -1.941 -0.629 0.21
H 1.148 -1.285 -0.099 0.17
```

**Spin multiplicity**: 1
**Energy**: -43910.854 eV
**Total charge**: +1
**Frontier orbital gap**: 7.984 eV

---

The following is a quantum chemistry calculation of C10H24BIIrNO2P2 as an isolated structure at a distorted geometry, from OMol25.

```
42
Properties=species:S:1:pos:R:3:nbo_charge:R:1
C -0.700 -6.501 -2.366 -0.74
C -1.108 -5.429 -1.404 0.52
H -1.277 -7.411 -2.169 0.31
H 0.369 -6.698 -2.246 0.29
H -0.885 -6.151 -3.386 0.29
O -1.924 -5.459 -0.527 -0.32
I 0.038 -3.571 -1.760 0.66
Ir -0.025 0.884 0.452 0.43
P -1.389 1.184 -1.297 1.09
C -2.906 2.037 -0.729 -0.95
C -0.636 2.299 -2.521 -0.95
H -1.376 2.537 -3.294 0.28
H -2.587 -0.037 -2.993 0.29
H 0.225 1.785 -2.962 0.27
H -1.055 -0.861 -2.490 0.23
H -2.629 2.962 -0.208 0.27
H -0.286 3.213 -2.025 0.26
C -1.941 -0.311 -2.147 -0.96
H -3.542 2.271 -1.591 0.29
H -2.489 -0.938 -1.433 0.26
H -3.447 1.390 -0.028 0.27
P 1.661 -0.157 1.494 1.09
C 1.494 0.099 3.299 -0.95
C 1.773 -1.943 1.247 -0.96
H 3.447 0.370 -0.012 0.27
H 4.047 0.155 1.671 0.28
H 3.210 1.676 1.179 0.26
C 3.258 0.588 1.045 -0.95
H 1.856 -2.139 0.171 0.23
H 2.645 -2.336 1.788 0.29
H 2.362 -0.331 3.814 0.29
H 0.573 -0.381 3.651 0.27
H 0.851 -2.407 1.619 0.26
H 1.431 1.174 3.509 0.27
C -1.330 0.556 1.720 0.40
O -2.138 0.472 2.563 -0.36
B 0.715 5.039 1.646 -0.35
C 0.825 3.728 0.895 0.39
N 0.831 2.673 0.380 -0.55
H 1.007 4.756 2.799 0.18
H -0.448 5.383 1.491 0.18
H 1.500 5.829 1.152 0.37
```

**Spin multiplicity**: 6
**⟨S²⟩**: 8.76
**Energy**: -46503.039 eV
**Total charge**: +3
**Frontier orbital gap (alpha / beta)**: 7.128 / 5.416 eV

---

The following is a quantum chemistry calculation of a 7-piece molecular cluster, C10H24Cl12Si overall, from OMol25.

```
47
Properties=species:S:1:pos:R:3:nbo_charge:R:1
C -0.879 -0.159 2.273 -0.61
C -0.841 1.239 1.654 -0.40
C -2.101 1.640 0.888 -0.39
C -3.352 1.846 1.775 -0.86
Si -4.416 0.331 2.055 0.88
H 0.126 -0.517 2.506 0.22
H -1.449 -0.178 3.204 0.21
H -1.328 -0.880 1.586 0.19
H 0.014 1.305 0.973 0.20
H -0.666 1.980 2.443 0.19
H -1.884 2.580 0.377 0.22
H -2.308 0.901 0.106 0.19
H -4.018 2.570 1.291 0.24
H -3.056 2.300 2.727 0.23
H -4.719 -0.277 0.736 -0.18
H -5.711 0.720 2.665 -0.17
H -3.778 -0.686 2.916 -0.17
Cl -0.261 4.849 0.008 -0.02
C 1.232 4.134 -0.612 -0.39
Cl 0.913 2.824 -1.764 -0.04
H 1.797 4.903 -1.119 0.23
H 1.792 3.726 0.221 0.22
Cl 0.975 5.756 -5.486 -0.03
C 0.016 4.292 -5.228 -0.40
Cl -1.672 4.499 -5.709 -0.03
H 0.445 3.496 -5.825 0.22
H 0.046 4.050 -4.174 0.23
Cl 0.729 -0.892 -1.323 -0.03
C -0.102 -2.432 -1.060 -0.40
____________
Outcome:
The following is a quantum chemistry calculation of a 4-piece molecular cluster, C10H24BFO10P overall at a distorted geometry, from OMol25.

```
47
Properties=species:S:1:pos:R:3:nbo_charge:R:1
C -3.562 -3.128 2.219 -1.03
B -3.354 -2.342 0.904 0.78
O -3.582 -2.772 -0.352 -0.85
P -2.682 -0.465 1.108 1.17
F -3.930 0.422 1.155 -0.49
H -2.643 -3.703 2.388 0.29
H -3.670 -2.444 3.066 0.24
H -4.433 -3.780 2.204 0.29
H -2.767 -2.772 -0.880 0.53
H -1.826 -0.060 0.071 0.04
H -2.003 -0.407 2.332 0.03
C 2.260 2.113 -2.428 -0.26
O 0.856 1.874 -2.250 -0.51
C 0.107 2.975 -2.165 0.98
O 0.498 4.106 -2.229 -0.62
O -1.164 2.592 -2.007 -0.52
C -2.104 3.671 -1.913 -0.26
H 2.737 1.139 -2.482 0.20
H 2.440 2.651 -3.356 0.21
H 2.669 2.664 -1.586 0.19
H -2.104 4.259 -2.828 0.21
H -1.881 4.303 -1.056 0.19
H -3.084 3.221 -1.780 0.19
C 0.871 3.575 0.617 -0.26
O 0.740 3.799 2.024 -0.49
C 1.235 2.820 2.780 0.98
O 1.736 1.801 2.372 -0.66
O 1.071 3.155 4.055 -0.49
C 1.564 2.192 4.992 -0.26
H 0.431 4.430 0.122 0.22
H 1.919 3.508 0.338 0.20
H 0.337 2.671 0.326 0.17
H 2.636 2.052 4.871 0.20
H 1.044 1.243 4.879 0.18
H 1.367 2.592 5.982 0.21
C 1.292 -6.159 -2.619 -0.26
O 0.856 -5.148 -1.699 -0.50
C 1.523 -4.002 -1.791 0.97
O 2.417 -3.754 -2.550 -0.62
O 1.017 -3.154 -0.881 -0.52
C 1.643 -1.869 -0.872 -0.26
H 0.673 -7.032 -2.439 0.20
H 1.155 -5.826 -3.646 0.20
H 2.334 -6.415 -2.439 0.20
H 1.512 -1.369 -1.831 0.20
H 2.701 -1.941 -0.629 0.21
H 1.148 -1.285 -0.099 0.17
```

**Spin multiplicity**: 1
**Energy**: -43910.854 eV
**Total charge**: +1
**Frontier orbital gap**: 7.984 eV

---

The following is a quantum chemistry calculation of C10H24BIIrNO2P2 as an isolated structure at a distorted geometry, from OMol25.

```
42
Properties=species:S:1:pos:R:3:nbo_charge:R:1
C -0.700 -6.501 -2.366 -0.74
C -1.108 -5.429 -1.404 0.52
H -1.277 -7.411 -2.169 0.31
H 0.369 -6.698 -2.246 0.29
H -0.885 -6.151 -3.386 0.29
O -1.924 -5.459 -0.527 -0.32
I 0.038 -3.571 -1.760 0.66
Ir -0.025 0.884 0.452 0.43
P -1.389 1.184 -1.297 1.09
C -2.906 2.037 -0.729 -0.95
C -0.636 2.299 -2.521 -0.95
H -1.376 2.537 -3.294 0.28
H -2.587 -0.037 -2.993 0.29
H 0.225 1.785 -2.962 0.27
H -1.055 -0.861 -2.490 0.23
H -2.629 2.962 -0.208 0.27
H -0.286 3.213 -2.025 0.26
C -1.941 -0.311 -2.147 -0.96
H -3.542 2.271 -1.591 0.29
H -2.489 -0.938 -1.433 0.26
H -3.447 1.390 -0.028 0.27
P 1.661 -0.157 1.494 1.09
C 1.494 0.099 3.299 -0.95
C 1.773 -1.943 1.247 -0.96
H 3.447 0.370 -0.012 0.27
H 4.047 0.155 1.671 0.28
H 3.210 1.676 1.179 0.26
C 3.258 0.588 1.045 -0.95
H 1.856 -2.139 0.171 0.23
H 2.645 -2.336 1.788 0.29
H 2.362 -0.331 3.814 0.29
H 0.573 -0.381 3.651 0.27
H 0.851 -2.407 1.619 0.26
H 1.431 1.174 3.509 0.27
C -1.330 0.556 1.720 0.40
O -2.138 0.472 2.563 -0.36
B 0.715 5.039 1.646 -0.35
C 0.825 3.728 0.895 0.39
N 0.831 2.673 0.380 -0.55
H 1.007 4.756 2.799 0.18
H -0.448 5.383 1.491 0.18
H 1.500 5.829 1.152 0.37
```

**Spin multiplicity**: 6
**⟨S²⟩**: 8.76
**Energy**: -46503.039 eV
**Total charge**: +3
**Frontier orbital gap (alpha / beta)**: 7.128 / 5.416 eV

---

The following is a quantum chemistry calculation of a 7-piece molecular cluster, C10H24Cl12Si overall, from OMol25.

```
47
Properties=species:S:1:pos:R:3:nbo_charge:R:1
C -0.879 -0.159 2.273 -0.61
C -0.841 1.239 1.654 -0.40
C -2.101 1.640 0.888 -0.39
C -3.352 1.846 1.775 -0.86
Si -4.416 0.331 2.055 0.88
H 0.126 -0.517 2.506 0.22
H -1.449 -0.178 3.204 0.21
H -1.328 -0.880 1.586 0.19
H 0.014 1.305 0.973 0.20
H -0.666 1.980 2.443 0.19
H -1.884 2.580 0.377 0.22
H -2.308 0.901 0.106 0.19
H -4.018 2.570 1.291 0.24
H -3.056 2.300 2.727 0.23
H -4.719 -0.277 0.736 -0.18
H -5.711 0.720 2.665 -0.17
H -3.778 -0.686 2.916 -0.17
Cl -0.261 4.849 0.008 -0.02
C 1.232 4.134 -0.612 -0.39
Cl 0.913 2.824 -1.764 -0.04
H 1.797 4.903 -1.119 0.23
H 1.792 3.726 0.221 0.22
Cl 0.975 5.756 -5.486 -0.03
C 0.016 4.292 -5.228 -0.40
Cl -1.672 4.499 -5.709 -0.03
H 0.445 3.496 -5.825 0.22
H 0.046 4.050 -4.174 0.23
Cl 0.729 -0.892 -1.323 -0.03
C -0.102 -2.432 -1.060 -0.40